Friday, May 18, 2012

Not Wasted

My year of delusion - the delusion that I was donor conceived - was not completely wasted.

It allowed me to remember things about my family that I had repressed.

It allowed me to unblock some of my feelings and create a fictional father who might be just like me and who might just like me. This is slowly leading me towards grieving for the parents I didn't have. And potentially healing.

It has ensured I will always know deep in my gut what it feels like to not know your biological origin. Just today, I had to buy a local paper which lamented the lack of a sperm bank in my country and featured a sob story by a 39-year-old woman who couldn't find a known donor (this is possible in my country) so she went to another country for treatment. A psychiatrist explained to the general public that the child will be fine not knowing who the father is as long as (s)he's properly raised and prepared or something.

And everything inside me screamed You Ignorant Fools!

You can't just expect everything will be unicorns and rainbows if you're nice and tell early. Many, if not most, people just need to know who their biological parents are and no amount of love in the world will fill that hole for a person who can never know.

Advocating will be easier, actually, if there's nothing personal about it.

Friday, May 11, 2012

The origin of the family rumor

I wonder where the family rumor that I was donor conceived originated.

Perhaps they used IUI or IVF and then I was born, looking nothing like my father or his family. Could people have thought I wasn't his? Could it have occurred to him too?

Could he spent my entire life wondering if the doctors perhaps used someone else's sperm?

Some things are still just too bizarre to be explained in any other way.

I'm NOT donor conceived

I finally did a DNA test - my father is my father. I have no other fathers but him.

The family story my aunt told me must have taken a wrong turn somewhere - I'm sure they did use ART to conceive me and that the "donor" bit got attached to the rumor somehow.

I spent a year on an emotional rollercoaster for no good reason. I made an absolute idiot of myself.

But there was something good about it: the idea of a possibly sane father out there who might be like me and who might like me enabled me to feel. I gave myself permission to love this non-existent man and grieve for him. I had never grieved the father I couldn't have. I hadn't felt any real emotions towards my father (or mother) for decades. I had blocked all emotions.

Now they came back - for a person who doesn't exist. It proved how vulnerable and, really, pathetic I am. I longed for one man in particular to be my real father - because he was nice and enjoyed my company and liked me and shared my interests and gave me books of poetry and short stories. Which was much more than I ever had with my father.

It was so easy to let myself believe this. To have a tangible reason why he couldn't love me. Why he resented me. Why I had to be sooo grateful just for being allowed to exist (I'm sure they had to use IUI or IVF and I did cost them something - at least, the shame he had to endure in front of the doctors) and why "You look like your mother" was so often thrown at me (I guess that was my entire sin - I didn't have to be another man's offspring to be resented, only not be his carbon copy - I really look nothing at all like him or his family).

I made myself believe I could expect nothing from him or his family - they owed me nothing. This made me remember how cold they were towards me.

But they owed me love and support, no matter who I looked like. My father should have loved me. He owed me that.

I might take some time off to process all this. I'd spent a lot of time obsessing over something that wasn't even true. There are other, real things to focus on, and although right now I feel drained and exhausted and deflated, it can only get better from here if I focus on my daily life from now on. I hope.

I learned and understood quite a bit about how DC persons and adoptees feel like. I will never be able to think in stereotypical terms on these issues again. I will always be an advocate for absolute openness and honesty and the right for everyone to know their biological origins.

If every DC person was certain to receive an original birth certificate at age 18 and lying to your children wasn't possible, these reverse crazy situations wouldn't be possible either.

I'm sorry if anyone feels lied to - I deceived no one on purpose.

I will not be deleting the blog - I stand by my opinions. My situation turned out to be different, but others are still being denied the knowledge of their roots.

Sunday, May 6, 2012

The genetic mirror

Knowing your genetic parents gives you a very basic and normal, but so commonly underestimated and misunderstood, privilege of seeing the traits you potentially have reflected in their actualized form.

You see who you potentially are and who you can become. This is the genetic mirror all human beings should have a right to at least take a peek at.

/*
# 1
## Dy5SbSe4 (PBE)

Data for crystalline Dy5SbSe4 at its relaxed geometry.

Summary:
Space group: Immm (71)
Volume: 251 Å³/f.u.
Formation energy from raw total energies: -1621 meV per atom

Unit cell a=4.157 b=5.855 c=10.930 alpha=105.54 beta=100.96 gamma=90.00
Sites, in units of the cell vectors:
Dy (0.199, 0.699, 0.398)
Se (0.797, 0.797, 0.593)
Se (0.203, 0.203, 0.407)
Dy (0.000, 0.500, 0.000)
Se (0.601, 0.601, 0.202)
Sb (0.000, 0.000, 0.000)
Dy (0.801, 0.301, 0.602)
Dy (0.394, 0.894, 0.788)
Se (0.399, 0.399, 0.798)
Dy (0.606, 0.106, 0.212)

# 2
## La3Ga5Se12 (PBE)

Data for crystalline La3Ga5Se12 at its relaxed geometry.

Summary:
Space group: Ia-3d (230)
Volume: 530 Å³/f.u.
Formation energy from raw total energies: -1085 meV per atom

Unit cell a=14.014 b=14.014 c=14.014 alpha=109.47 beta=109.47 gamma=109.47
Sites, in units of the cell vectors:
Se (0.414, 0.120, 0.591)
Se (0.823, 0.909, 0.029)
Ga (0.250, 0.875, 0.125)
Ga (0.125, 0.750, 0.375)
Se (0.794, 0.471, 0.380)
Se (0.794, 0.323, 0.914)
La (0.250, 0.625, 0.875)
La (0.375, 0.750, 0.625)
Se (0.971, 0.380, 0.294)
Se (0.029, 0.620, 0.706)
Se (0.086, 0.909, 0.380)
Ga (0.500, 0.500, 0.500)
Ga (0.875, 0.625, 0.750)
Se (0.091, 0.177, 0.471)
Se (0.120, 0.414, 0.091)
Se (0.380, 0.971, 0.794)
Se (0.294, 0.880, 0.971)
Se (0.086, 0.177, 0.206)
Se (0.909, 0.086, 0.880)
Se (0.206, 0.677, 0.086)
Se (0.471, 0.677, 0.091)
Se (0.971, 0.591, 0.177)
Se (0.591, 0.620, 0.414)
Se (0.529, 0.323, 0.909)
Se (0.914, 0.091, 0.620)
Ga (0.375, 0.125, 0.750)
Ga (0.750, 0.125, 0.875)
Se (0.177, 0.086, 0.706)
La (0.625, 0.250, 0.375)
Se (0.706, 0.586, 0.177)
Se (0.029, 0.409, 0.823)
Se (0.914, 0.823, 0.794)
Ga (0.875, 0.250, 0.625)
Ga (0.000, 0.000, 0.000)
Se (0.591, 0.971, 0.677)
Ga (0.625, 0.875, 0.250)
Se (0.471, 0.794, 0.880)
Ga (0.500, 0.000, 0.000)
Se (0.414, 0.294, 0.323)
Ga (0.000, 0.000, 0.500)
Se (0.823, 0.914, 0.294)
Ga (0.500, 0.500, 0.000)
Ga (0.000, 0.500, 0.500)
La (0.750, 0.375, 0.125)
Ga (0.500, 0.000, 0.500)
Se (0.120, 0.706, 0.529)
La (0.250, 0.125, 0.375)
Ga (0.125, 0.375, 0.250)
Se (0.880, 0.294, 0.471)
Se (0.706, 0.120, 0.029)
Se (0.677, 0.206, 0.586)
La (0.125, 0.250, 0.875)
Ga (0.750, 0.625, 0.375)
Se (0.586, 0.706, 0.677)
Se (0.586, 0.880, 0.409)
La (0.375, 0.625, 0.250)
Ga (0.000, 0.500, 0.000)
La (0.125, 0.875, 0.750)
Se (0.620, 0.029, 0.206)
Se (0.294, 0.414, 0.823)
Se (0.409, 0.029, 0.323)
Se (0.620, 0.591, 0.914)
Se (0.380, 0.409, 0.086)
Se (0.091, 0.914, 0.120)
Se (0.323, 0.529, 0.409)
La (0.875, 0.125, 0.250)
Se (0.677, 0.471, 0.591)
Se (0.177, 0.091, 0.971)
Se (0.529, 0.206, 0.120)
Se (0.880, 0.586, 0.909)
Se (0.409, 0.380, 0.586)
La (0.750, 0.875, 0.625)
Se (0.206, 0.529, 0.620)
Ga (0.625, 0.750, 0.875)
Ga (0.250, 0.375, 0.625)
La (0.875, 0.750, 0.125)
La (0.625, 0.375, 0.750)
Ga (0.375, 0.250, 0.125)
Se (0.323, 0.794, 0.414)
Se (0.909, 0.823, 0.529)

# 3
## TlFeCuRu2 (PBE)

Data for crystalline TlFeCuRu2 at its relaxed geometry.

Summary:
Space group: P4/mmm (123)
*/
_Back to the page_

When you don't know your biological parents, growing up and discovering who you are is like trying to determine what you look like by feeling your face with your fingers. You can guess the shape of your nose and chin and ears, but you have no idea what they look like to others. You can also never discover the color of your skin or the color of your eyes.

When you're raised by genetically unrelated people and are kept away from your biological parents, you may never discover, nurture and develop some really interesting parts of who you inherently are.

My suspect is particularly suspicious because he fits so well as the missing central piece of the genetic mirror. Who I remember him as is so much like who I never allowed myself to believe I could be, but actually am. When I describe him, I'm actually describing a less known me.

Wednesday, May 2, 2012

It's not fair

Part of the reason why I'm so obsessed with discovering the whole truth about the circumstances of my conception and my biological paternity is that I feel the current situation gives my narcissistic social father an insane kind of power over me.

He is probably the only person alive who knows how I was conceived and - quite possibly - who my biological father is.

He knows something very important about me that I'm not allowed to know. I'm sure it's great fun for him to be able to treat me like a child in that way.

I have tried to give him a chance to tell me. I have asked him direct questions about their attempts at having a child and the circumstances of my conception.

His answers get more and more implausible and fantastical. Sometimes it seems like he's taunting me and flaunting it. The story changed from them trying for 12 years to only maybe not contracepting for a year or two, with variations in the meantime. The last time we spoke about it, he told a fairy tale of my conception that involved a romantic island in the middle of the Adriatic sea! When I asked him where my daughter got the red streaks in her hair, as none of his or my mother's ancestors had this, he flat out said, staring me in the eyes: "It must come from your husband's side of the family." I said no, I know even more generations of my husband's family, and reddish blondish hair has not appeared there. He repeated: "It must come from your husband's side of the family."

If my conjecture is true, I'll have connected the dots and found out all on my own. That would make so many things right on so many levels.